[Job]
Now reproduce the block underneath from the line with "1.08109" to the end with every line break kept.

[Contents]
____________
This record from the OMol25 dataset describes a cluster of 2 separate species, C4H9BrN in total at a distorted geometry. The level of theory is ωB97M-V with the def2-TZVPD basis set.

Cartesian coordinates (Å):
C 1.47518 -1.13461 -1.03924
C 1.14912 -0.97485 0.35151
C -0.93199 1.52250 1.08109
C -1.23974 0.97091 -0.25610
N 0.16415 -0.84740 -0.62967
Br -2.67538 -0.08457 -0.54891
H 2.02874 -0.43241 -1.65280
H 1.39984 -2.07690 -1.56625
H 1.14110 -1.77236 0.97189
H 1.38250 -0.05198 0.96487
H -1.37695 0.93137 1.85965
H 0.16796 1.59590 1.18415
H -1.30430 2.50049 1.22638
H -0.64748 1.32267 -1.14318
H -0.73276 -1.46880 -0.80339

The frontier orbital gap is 0.3206 Eh. The value obtained for the energy relative to the best compared isomer or geometry (same formula, charge and spin) is 234.3 kJ/mol. The calculated total energy is -75815.820 eV. As for the total charge: +1. As for the spin multiplicity: 1.


This record from the OMol25 dataset describes a cluster of 2 separate species, C4H9BrN in total at a distorted geometry. The level of theory is ωB97M-V with the def2-TZVPD basis set.

Cartesian coordinates (Å):
C 1.43411 -0.08511 -1.03925
C 0.65366 -1.37530 -1.16596
C -1.16766 1.33691 1.18717
C -0.81170 -0.12989 1.14826
N -0.00512 -0.11381 -0.83587
Br 0.61846 -0.63806 2.16922
H 2.14549 0.24338 -0.25311
H 1.63017 0.20964 -2.04984
H 0.49354 -1.53985 -2.16405
H 0.64943 -2.23384 -0.47382
H -0.11735 1.73167 1.22200
H -1.63993 1.55557 0.31615
H -1.73249 1.38077 2.09861
H -1.52780 -0.86067 1.13893
H -0.62282 0.51858 -1.29843

The frontier orbital gap is 0.3790 Eh. The value obtained for the energy relative to the best compared isomer or geometry (same formula, charge and spin) is 193.7 kJ/mol. The calculated total energy is -75816.240 eV. As for the total charge: +1. As for the spin multiplicity: 1.


This record from the OMol25 dataset describes a structure of composition C4H9BrN2 at a distorted geometry. The level of theory is ωB97M-V with the def2-TZVPD basis set.

Cartesian coordinates (Å):
C 0.54682 -1.12297 -0.43093
C -0.76302 -1.56534 0.22797
C 0.08805 0.27594 -0.83968
C -1.30862 -0.16730 0.49713
N 1.50721 1.42618 0.66289
N 0.89741 1.37203 -0.61224
Br -3.12765 0.19271 0.02485
H 1.35610 -1.03528 0.29079
H 0.87273 -1.74520 -1.26576
H -1.39991 -2.08978 -0.48459
H -0.66059 -2.19098 1.11540
H -0.43278 0.34290 -1.78736
H -1.08161 0.26599 1.46308
H 0.82647 1.64592 1.39413
H 2.21785 2.15047 0.65978
H 0.46155 2.24471 -0.91545

The frontier orbital gap is 0.3207 Eh. The value obtained for the energy relative to the best compared isomer or geometry (same formula, charge and spin) is 29.5 kJ/mol. The calculated total energy is -77314.164 eV. As for the total charge: 0. As for the spin multiplicity: 1.


This record from the OMol25 dataset describes an isolated molecule of C4H9BrS at a distorted geometry. The level of theory is ωB97M-V with the def2-TZVPD basis set.

Cartesian coordinates (Å):
C -1.80284 0.74723 0.68363
C 1.99389 -1.34577 -0.84393
C -0.58254 1.57669 0.84095
C 0.61046 -0.63894 -0.62444
S 0.64981 1.18828 -0.43622
Br -0.83406 -1.45882 -1.74608
H -2.53180 1.22572 1.19929
H -2.03054 0.51040 -0.27019
H -1.73252 -0.19250 1.21105
H 2.77469 -0.82914 -0.36735
H 2.03005 -2.38758 -0.44291
H 2.26112 -1.43264 -1.91200
H -0.15311 1.41303 1.82543
H -0.91857 2.64959 0.58863
H 0.26598 -1.02555 0.29412

The frontier orbital gap is 0.3591 Eh. The value obtained for the energy relative to the best compared isomer or geometry (same formula, charge and spin) is 22.0 kJ/mol. Its structure (SMILES) is CCS[C@H](C)Br. The calculated total energy is -85170.833 eV. As for the total charge: 0. As for the spin multiplicity: 1.


This record from the OMol25 dataset describes the ion C4H9ClN with charge +1 at a distorted geometry. The level of theory is ωB97M-V with the def2-TZVPD basis set.

Cartesian coordinates (Å):
C -0.73747 -0.54438 -1.07087
C -1.86060 -0.07573 -0.24115
C 0.89432 1.37822 -0.11229
C 0.82850 -0.88355 0.81583
N 0.42806 -0.02671 -0.28787
____________

[Response]
C -0.93199 1.52250 1.08109
C -1.23974 0.97091 -0.25610
N 0.16415 -0.84740 -0.62967
Br -2.67538 -0.08457 -0.54891
H 2.02874 -0.43241 -1.65280
H 1.39984 -2.07690 -1.56625
H 1.14110 -1.77236 0.97189
H 1.38250 -0.05198 0.96487
H -1.37695 0.93137 1.85965
H 0.16796 1.59590 1.18415
H -1.30430 2.50049 1.22638
H -0.64748 1.32267 -1.14318
H -0.73276 -1.46880 -0.80339

The frontier orbital gap is 0.3206 Eh. The value obtained for the energy relative to the best compared isomer or geometry (same formula, charge and spin) is 234.3 kJ/mol. The calculated total energy is -75815.820 eV. As for the total charge: +1. As for the spin multiplicity: 1.


This record from the OMol25 dataset describes a cluster of 2 separate species, C4H9BrN in total at a distorted geometry. The level of theory is ωB97M-V with the def2-TZVPD basis set.

Cartesian coordinates (Å):
C 1.43411 -0.08511 -1.03925
C 0.65366 -1.37530 -1.16596
C -1.16766 1.33691 1.18717
C -0.81170 -0.12989 1.14826
N -0.00512 -0.11381 -0.83587
Br 0.61846 -0.63806 2.16922
H 2.14549 0.24338 -0.25311
H 1.63017 0.20964 -2.04984
H 0.49354 -1.53985 -2.16405
H 0.64943 -2.23384 -0.47382
H -0.11735 1.73167 1.22200
H -1.63993 1.55557 0.31615
H -1.73249 1.38077 2.09861
H -1.52780 -0.86067 1.13893
H -0.62282 0.51858 -1.29843

The frontier orbital gap is 0.3790 Eh. The value obtained for the energy relative to the best compared isomer or geometry (same formula, charge and spin) is 193.7 kJ/mol. The calculated total energy is -75816.240 eV. As for the total charge: +1. As for the spin multiplicity: 1.


This record from the OMol25 dataset describes a structure of composition C4H9BrN2 at a distorted geometry. The level of theory is ωB97M-V with the def2-TZVPD basis set.

Cartesian coordinates (Å):
C 0.54682 -1.12297 -0.43093
C -0.76302 -1.56534 0.22797
C 0.08805 0.27594 -0.83968
C -1.30862 -0.16730 0.49713
N 1.50721 1.42618 0.66289
N 0.89741 1.37203 -0.61224
Br -3.12765 0.19271 0.02485
H 1.35610 -1.03528 0.29079
H 0.87273 -1.74520 -1.26576
H -1.39991 -2.08978 -0.48459
H -0.66059 -2.19098 1.11540
H -0.43278 0.34290 -1.78736
H -1.08161 0.26599 1.46308
H 0.82647 1.64592 1.39413
H 2.21785 2.15047 0.65978
H 0.46155 2.24471 -0.91545

The frontier orbital gap is 0.3207 Eh. The value obtained for the energy relative to the best compared isomer or geometry (same formula, charge and spin) is 29.5 kJ/mol. The calculated total energy is -77314.164 eV. As for the total charge: 0. As for the spin multiplicity: 1.


This record from the OMol25 dataset describes an isolated molecule of C4H9BrS at a distorted geometry. The level of theory is ωB97M-V with the def2-TZVPD basis set.

Cartesian coordinates (Å):
C -1.80284 0.74723 0.68363
C 1.99389 -1.34577 -0.84393
C -0.58254 1.57669 0.84095
C 0.61046 -0.63894 -0.62444
S 0.64981 1.18828 -0.43622
Br -0.83406 -1.45882 -1.74608
H -2.53180 1.22572 1.19929
H -2.03054 0.51040 -0.27019
H -1.73252 -0.19250 1.21105
H 2.77469 -0.82914 -0.36735
H 2.03005 -2.38758 -0.44291
H 2.26112 -1.43264 -1.91200
H -0.15311 1.41303 1.82543
H -0.91857 2.64959 0.58863
H 0.26598 -1.02555 0.29412

The frontier orbital gap is 0.3591 Eh. The value obtained for the energy relative to the best compared isomer or geometry (same formula, charge and spin) is 22.0 kJ/mol. Its structure (SMILES) is CCS[C@H](C)Br. The calculated total energy is -85170.833 eV. As for the total charge: 0. As for the spin multiplicity: 1.


This record from the OMol25 dataset describes the ion C4H9ClN with charge +1 at a distorted geometry. The level of theory is ωB97M-V with the def2-TZVPD basis set.

Cartesian coordinates (Å):
C -0.73747 -0.54438 -1.07087
C -1.86060 -0.07573 -0.24115
C 0.89432 1.37822 -0.11229
C 0.82850 -0.88355 0.81583
N 0.42806 -0.02671 -0.28787